## Data
____________
# 1
First-principles (PBE) data for a relaxed ScNiAgSb crystal, as listed in the Open Quantum Materials Database.

The calculation puts the total magnetization at 0.01 μB per formula unit.

The structure belongs to space group F-43m (No. 216); the cell edges are 6.598, 6.598 and 6.598 Å and the angles 90.00°, 90.00° and 90.00°. The asymmetric unit holds Sc at (0.000, 0.000, 0.000), Ni at (0.000, 0.000, 0.500), Ag at (0.250, 0.250, 0.750) and Sb at (0.250, 0.250, 0.250).

---

# 2
First-principles (PBE) data for a relaxed ZrGaI7 crystal, as listed in the Open Quantum Materials Database.

The calculation puts the total magnetization at 0.00 μB per formula unit.

The structure belongs to space group Pc (No. 7); the cell edges are 8.165, 6.928 and 17.590 Å and the angles 90.00°, 99.35° and 90.00°. The asymmetric unit holds Zr at (0.000, 0.079, 0.000), Ga at (0.256, 0.487, 0.140), I at (0.132, 0.144, 0.398), I at (0.246, 0.138, 0.638), I at (0.314, 0.330, 0.010), I at (0.467, 0.377, 0.253), I at (0.744, 0.139, 0.535), I at (0.824, 0.330, 0.899) and I at (0.962, 0.331, 0.140).

---

# 3
First-principles (PBE) data for a relaxed MgHgSeO crystal, as listed in the Open Quantum Materials Database.

The value obtained for the energy relative to the lowest polymorph listed for this composition is 248.1 meV per atom.

The structure belongs to space group P6_3mc (No. 186); the cell edges are 3.6505, 3.6505 and 12.6541 Å and the angles 90.00°, 90.00° and 120.00°. The asymmetric unit holds Mg at (0.3333, 0.6667, 0.0000), Hg at (0.0000, 0.0000, 0.2162), Se at (0.3333, 0.6667, 0.3483) and O at (0.0000, 0.0000, 0.0437).

---

no.,energy (eV per atom)
1,-4.965
2,-3.197
3,-3.515
____________

## Job
Reproduce every line further up that contains the word "belongs".

## Done
The structure belongs to space group F-43m (No. 216); the cell edges are 6.598, 6.598 and 6.598 Å and the angles 90.00°, 90.00° and 90.00°. The asymmetric unit holds Sc at (0.000, 0.000, 0.000), Ni at (0.000, 0.000, 0.500), Ag at (0.250, 0.250, 0.750) and Sb at (0.250, 0.250, 0.250).
The structure belongs to space group Pc (No. 7); the cell edges are 8.165, 6.928 and 17.590 Å and the angles 90.00°, 99.35° and 90.00°. The asymmetric unit holds Zr at (0.000, 0.079, 0.000), Ga at (0.256, 0.487, 0.140), I at (0.132, 0.144, 0.398), I at (0.246, 0.138, 0.638), I at (0.314, 0.330, 0.010), I at (0.467, 0.377, 0.253), I at (0.744, 0.139, 0.535), I at (0.824, 0.330, 0.899) and I at (0.962, 0.331, 0.140).
The structure belongs to space group P6_3mc (No. 186); the cell edges are 3.6505, 3.6505 and 12.6541 Å and the angles 90.00°, 90.00° and 120.00°. The asymmetric unit holds Mg at (0.3333, 0.6667, 0.0000), Hg at (0.0000, 0.0000, 0.2162), Se at (0.3333, 0.6667, 0.3483) and O at (0.0000, 0.0000, 0.0437).